**Contents:**
=====
No. 1
Computed, not measured: C26H32F42N9O32S14 as an isolated structure in a non-equilibrium geometry, with ωB97M-V/def2-TZVPD.

Output
LUMO	5.3	eV
HOMO level	0.0076	Ha
total charge	-5

```
155
C26H32F42N9O32S14 | OMol25 | ωB97M-V/def2-TZVPD
C -5.6424 -2.8462 -4.4059
O -6.0788 -4.1953 -4.1073
C -6.7913 -4.2728 -2.9143
C -5.9265 -4.3221 -1.5851
N -4.8300 -5.3415 -1.8226
H -5.2960 -6.2353 -1.8856
H -4.4119 -5.1553 -2.7230
C -3.7392 -5.4820 -0.7051
C -2.9933 -4.1697 -0.2804
O -3.8301 -3.4911 0.6259
C -3.3173 -2.2912 1.0679
H -6.3234 -1.9951 -4.4065
H -5.2452 -2.8043 -5.4201
H -4.7563 -2.7272 -3.7823
H -7.3742 -5.1887 -3.0107
H -7.4027 -3.4011 -2.6807
H -6.5785 -4.6247 -0.7656
H -5.6220 -3.3153 -1.2992
H -3.0491 -6.1690 -1.1949
H -4.2176 -5.9622 0.1485
H -2.8067 -3.7120 -1.2519
H -2.0795 -4.4934 0.2179
H -3.8989 -1.9230 1.9131
H -3.1769 -1.4833 0.3498
H -2.3613 -2.3309 1.5900
C 0.9389 -3.0591 0.5768
O 0.4775 -2.4345 1.7827
C 1.5051 -1.7024 2.4296
C 1.9291 -0.5129 1.6186
N 1.5584 0.7079 2.3910
H 0.5989 0.5376 2.6565
H 1.9286 0.7570 3.3294
C 1.7673 2.0439 1.7195
C 0.7645 2.2629 0.4709
O -0.5674 1.8362 0.7520
C -1.4345 2.6496 -0.0222
H 0.0470 -3.3804 0.0389
H 1.4971 -3.9491 0.8674
H 1.5460 -2.3459 0.0193
H 2.3270 -2.3999 2.5911
H 1.1330 -1.4614 3.4253
H 1.3963 -0.2797 0.6967
H 3.0056 -0.5797 1.4612
H 2.8214 2.1966 1.4876
H 1.4967 2.7299 2.5222
H 1.0617 1.7091 -0.4196
H 0.8091 3.3310 0.2583
H -2.4300 2.7134 0.4172
H -1.6639 2.1429 -0.9596
H -1.3231 3.7339 -0.0261
C -4.5174 0.8527 -2.2120
F -3.2915 1.2817 -2.6364
F -4.5627 -0.4224 -2.3847
F -4.8031 1.1343 -0.8620
S -5.9697 1.5857 -3.2538
O -7.2101 1.4376 -2.4792
O -5.5263 2.9372 -3.4619
N -5.9003 0.6076 -4.6979
S -7.3156 0.6761 -5.2223
O -8.3082 -0.1298 -4.5353
O -7.7176 2.0616 -5.6608
C -7.0912 -0.2549 -6.9875
F -8.0022 -1.1657 -7.3228
F -7.1893 0.6732 -7.9879
F -5.8872 -0.9055 -7.0254
C 4.3895 -7.9841 -1.2018
F 5.3174 -8.6556 -0.4212
F 4.9940 -7.4019 -2.1776
F 3.4587 -8.8628 -1.7487
S 3.4371 -6.5613 -0.1714
O 3.4353 -6.9511 1.2113
O 4.0508 -5.2378 -0.3849
N 1.8893 -6.4608 -1.0049
S 1.0260 -7.3356 -0.1612
O 1.5161 -8.7094 0.0659
O 0.3393 -6.6431 0.9253
C -0.2600 -7.7112 -1.5751
F -1.1989 -8.4958 -1.0435
F -0.7942 -6.5315 -1.9454
F 0.3224 -8.4651 -2.5945
C 1.0844 6.9263 4.0587
F 1.9340 6.2420 4.8072
F 0.4025 7.7592 4.7122
F 1.8153 7.5771 3.2478
S -0.1038 5.7625 3.1132
O 0.7001 5.2589 1.9689
O -0.5242 4.6800 4.0256
N -1.2867 6.8445 2.4443
S -2.4430 6.6732 3.4095
O -3.3109 5.5016 3.1511
O -2.2107 6.8855 4.8344
C -3.4376 8.1817 2.9804
F -2.7356 9.2716 3.1041
F -3.9209 8.0742 1.6824
F -4.4639 8.2834 3.8084
C 1.1089 -1.0789 7.0687
F 1.0472 -0.6763 8.3330
F 2.3324 -1.4881 6.6855
F 0.2470 -2.0886 6.8617
S 0.4869 0.4188 5.9286
O -0.5094 -0.1955 5.0037
O 0.0507 1.4863 6.8419
N 1.9263 0.8263 4.9742
S 2.6660 1.7069 5.9347
O 2.1556 3.0699 5.9472
O 2.8327 1.1396 7.2500
C 4.4404 1.8266 5.0736
F 5.1699 0.7322 5.0905
F 4.2877 2.1935 3.7827
F 5.0456 2.9206 5.6259
C 11.7405 1.0424 2.3460
F 11.4354 1.8211 3.3764
F 12.1119 1.8155 1.3286
F 12.6515 0.0924 2.6191
S 10.1485 0.1064 1.9123
O 10.5380 -0.7138 0.7380
O 9.7883 -0.6652 3.1408
N 9.0018 1.3803 1.4398
S 7.7005 0.6713 1.6607
O 7.5632 -0.6751 1.1298
O 7.1892 0.9417 3.0217
C 6.6099 1.8443 0.4732
F 6.8956 3.1728 0.5996
F 6.7183 1.4126 -0.8093
F 5.2971 1.6744 0.7247
C 4.9930 -2.1148 -1.7275
F 4.4644 -2.7421 -0.6568
F 6.1871 -1.5304 -1.4432
F 5.0738 -2.9553 -2.7967
S 3.7378 -0.8102 -2.2212
O 3.7056 0.1815 -1.1184
O 4.2961 -0.3807 -3.5254
N 2.2925 -1.6836 -2.3475
S 1.3600 -0.7328 -2.9808
O 1.4694 0.6916 -2.7436
O 1.2289 -1.0670 -4.3897
C -0.3520 -1.2511 -2.0951
F -0.2976 -1.0065 -0.7897
F -1.3875 -0.5698 -2.7158
F -0.5288 -2.5686 -2.3760
C 0.7277 5.0232 -3.1558
F 1.5624 4.5656 -4.1039
F 0.1938 3.9853 -2.4812
F 1.3519 5.8388 -2.4044
S -0.7062 6.0669 -3.9874
O -0.0420 7.3258 -4.1923
O -1.1834 5.4760 -5.2479
N -1.9725 6.1571 -2.7199
S -3.1979 5.3329 -3.1173
O -3.9758 5.8734 -4.2546
O -2.8720 3.8709 -3.2227
C -4.3672 5.6124 -1.6048
F -3.8741 5.1736 -0.4777
=====

**Wanted:**
Could you start at the top of the contents earlier on and return each line, ending with the one that has "-2.9808"?

**Written answer:**
No. 1
Computed, not measured: C26H32F42N9O32S14 as an isolated structure in a non-equilibrium geometry, with ωB97M-V/def2-TZVPD.

Output
LUMO	5.3	eV
HOMO level	0.0076	Ha
total charge	-5

```
155
C26H32F42N9O32S14 | OMol25 | ωB97M-V/def2-TZVPD
C -5.6424 -2.8462 -4.4059
O -6.0788 -4.1953 -4.1073
C -6.7913 -4.2728 -2.9143
C -5.9265 -4.3221 -1.5851
N -4.8300 -5.3415 -1.8226
H -5.2960 -6.2353 -1.8856
H -4.4119 -5.1553 -2.7230
C -3.7392 -5.4820 -0.7051
C -2.9933 -4.1697 -0.2804
O -3.8301 -3.4911 0.6259
C -3.3173 -2.2912 1.0679
H -6.3234 -1.9951 -4.4065
H -5.2452 -2.8043 -5.4201
H -4.7563 -2.7272 -3.7823
H -7.3742 -5.1887 -3.0107
H -7.4027 -3.4011 -2.6807
H -6.5785 -4.6247 -0.7656
H -5.6220 -3.3153 -1.2992
H -3.0491 -6.1690 -1.1949
H -4.2176 -5.9622 0.1485
H -2.8067 -3.7120 -1.2519
H -2.0795 -4.4934 0.2179
H -3.8989 -1.9230 1.9131
H -3.1769 -1.4833 0.3498
H -2.3613 -2.3309 1.5900
C 0.9389 -3.0591 0.5768
O 0.4775 -2.4345 1.7827
C 1.5051 -1.7024 2.4296
C 1.9291 -0.5129 1.6186
N 1.5584 0.7079 2.3910
H 0.5989 0.5376 2.6565
H 1.9286 0.7570 3.3294
C 1.7673 2.0439 1.7195
C 0.7645 2.2629 0.4709
O -0.5674 1.8362 0.7520
C -1.4345 2.6496 -0.0222
H 0.0470 -3.3804 0.0389
H 1.4971 -3.9491 0.8674
H 1.5460 -2.3459 0.0193
H 2.3270 -2.3999 2.5911
H 1.1330 -1.4614 3.4253
H 1.3963 -0.2797 0.6967
H 3.0056 -0.5797 1.4612
H 2.8214 2.1966 1.4876
H 1.4967 2.7299 2.5222
H 1.0617 1.7091 -0.4196
H 0.8091 3.3310 0.2583
H -2.4300 2.7134 0.4172
H -1.6639 2.1429 -0.9596
H -1.3231 3.7339 -0.0261
C -4.5174 0.8527 -2.2120
F -3.2915 1.2817 -2.6364
F -4.5627 -0.4224 -2.3847
F -4.8031 1.1343 -0.8620
S -5.9697 1.5857 -3.2538
O -7.2101 1.4376 -2.4792
O -5.5263 2.9372 -3.4619
N -5.9003 0.6076 -4.6979
S -7.3156 0.6761 -5.2223
O -8.3082 -0.1298 -4.5353
O -7.7176 2.0616 -5.6608
C -7.0912 -0.2549 -6.9875
F -8.0022 -1.1657 -7.3228
F -7.1893 0.6732 -7.9879
F -5.8872 -0.9055 -7.0254
C 4.3895 -7.9841 -1.2018
F 5.3174 -8.6556 -0.4212
F 4.9940 -7.4019 -2.1776
F 3.4587 -8.8628 -1.7487
S 3.4371 -6.5613 -0.1714
O 3.4353 -6.9511 1.2113
O 4.0508 -5.2378 -0.3849
N 1.8893 -6.4608 -1.0049
S 1.0260 -7.3356 -0.1612
O 1.5161 -8.7094 0.0659
O 0.3393 -6.6431 0.9253
C -0.2600 -7.7112 -1.5751
F -1.1989 -8.4958 -1.0435
F -0.7942 -6.5315 -1.9454
F 0.3224 -8.4651 -2.5945
C 1.0844 6.9263 4.0587
F 1.9340 6.2420 4.8072
F 0.4025 7.7592 4.7122
F 1.8153 7.5771 3.2478
S -0.1038 5.7625 3.1132
O 0.7001 5.2589 1.9689
O -0.5242 4.6800 4.0256
N -1.2867 6.8445 2.4443
S -2.4430 6.6732 3.4095
O -3.3109 5.5016 3.1511
O -2.2107 6.8855 4.8344
C -3.4376 8.1817 2.9804
F -2.7356 9.2716 3.1041
F -3.9209 8.0742 1.6824
F -4.4639 8.2834 3.8084
C 1.1089 -1.0789 7.0687
F 1.0472 -0.6763 8.3330
F 2.3324 -1.4881 6.6855
F 0.2470 -2.0886 6.8617
S 0.4869 0.4188 5.9286
O -0.5094 -0.1955 5.0037
O 0.0507 1.4863 6.8419
N 1.9263 0.8263 4.9742
S 2.6660 1.7069 5.9347
O 2.1556 3.0699 5.9472
O 2.8327 1.1396 7.2500
C 4.4404 1.8266 5.0736
F 5.1699 0.7322 5.0905
F 4.2877 2.1935 3.7827
F 5.0456 2.9206 5.6259
C 11.7405 1.0424 2.3460
F 11.4354 1.8211 3.3764
F 12.1119 1.8155 1.3286
F 12.6515 0.0924 2.6191
S 10.1485 0.1064 1.9123
O 10.5380 -0.7138 0.7380
O 9.7883 -0.6652 3.1408
N 9.0018 1.3803 1.4398
S 7.7005 0.6713 1.6607
O 7.5632 -0.6751 1.1298
O 7.1892 0.9417 3.0217
C 6.6099 1.8443 0.4732
F 6.8956 3.1728 0.5996
F 6.7183 1.4126 -0.8093
F 5.2971 1.6744 0.7247
C 4.9930 -2.1148 -1.7275
F 4.4644 -2.7421 -0.6568
F 6.1871 -1.5304 -1.4432
F 5.0738 -2.9553 -2.7967
S 3.7378 -0.8102 -2.2212
O 3.7056 0.1815 -1.1184
O 4.2961 -0.3807 -3.5254
N 2.2925 -1.6836 -2.3475
S 1.3600 -0.7328 -2.9808